Activity:
Find the line further down that holds "0.0825", then retype that line and all lines after it there, please.

Source:
........
1.
Structure and theoretical X-ray powder pattern of LiMnP2H2O8 (a crystal structure in the Materials Project, relaxed with GGA+U; Cu Kα (λ = 1.5418 Å)).
Neutral-atom scattering factors, no anomalous dispersion.

Structural model:
Cell lengths 7.0052, 8.0459, 5.2810 Å; angles 90.00, 90.00, 90.00 degrees
Fractional coordinates of all 28 atoms:
Li 0.0000 0.0000 0.0825
Li 0.5000 0.5000 0.9175
Mn 0.0000 0.5000 0.7657
Mn 0.5000 0.0000 0.2343
P 0.2147 0.6479 0.2691
P 0.2853 0.1479 0.7309
P 0.7147 0.8521 0.7309
P 0.7853 0.3521 0.2691
H 0.0082 0.2103 0.4524
H 0.4918 0.7103 0.5476
H 0.5082 0.2897 0.5476
H 0.9918 0.7897 0.4524
O 0.0509 0.7845 0.2727
O 0.0848 0.2261 0.7245
O 0.1916 0.5391 0.5071
O 0.1998 0.5473 0.0192
O 0.3002 0.0473 0.9808
O 0.3084 0.0391 0.4929
O 0.4152 0.7261 0.2755
O 0.4491 0.2845 0.7273
O 0.5509 0.7155 0.7273
O 0.5848 0.2739 0.2755
O 0.6916 0.9609 0.4929
O 0.6998 0.9527 0.9808
O 0.8002 0.4527 0.0192
O 0.8084 0.4609 0.5071
O 0.9152 0.7739 0.7245
O 0.9491 0.2155 0.2727

Main lines, in order of rising 2θ (2θ = 10–90°):
16.78 deg, rel. 94, (1 1 0)
23.82 deg, rel. 100, (1 1 1)
25.53 deg, rel. 60, (1 2 0)
30.72 deg, rel. 29, (1 2 1)
32.63 deg, rel. 66, (2 1 1)
33.95 deg, rel. 19, (0 0 2)
35.85 deg, rel. 21, (1 3 0)
37.62 deg, rel. 27, (0 3 1)
42.90 deg, rel. 13, (2 0 2)
50.23 deg, rel. 15, (1 4 1)
63.49 deg, rel. 18, (3 3 2)
63.97 deg, rel. 17, (2 4 2)


2.
Structure and theoretical X-ray powder pattern of Ca2MnAl2Si3HO13 (a crystal structure in the Materials Project, relaxed with GGA+U; Cu Kα (λ = 1.5418 Å)).
Neutral-atom scattering factors, no anomalous dispersion.

Structural model:
Cell lengths 8.9456, 5.7630, 10.2476 Å; angles 90.00, 115.55, 90.00 degrees
Fractional coordinates of all 44 atoms:
Ca 0.0973 0.2500 0.4274
Ca 0.2538 0.2500 0.1532
Ca 0.7462 0.7500 0.8468
Ca 0.9027 0.7500 0.5726
Mn 0.2039 0.2500 0.7792
Mn 0.7961 0.7500 0.2208
Al 0.5000 0.0000 0.0000
Al 0.5000 0.0000 0.5000
Al 0.5000 0.5000 0.0000
Al 0.5000 0.5000 0.5000
Si 0.1610 0.7500 0.9548
Si 0.1846 0.7500 0.2739
Si 0.3134 0.7500 0.6803
Si 0.6866 0.2500 0.3197
Si 0.8154 0.2500 0.7261
Si 0.8390 0.2500 0.0452
H 0.4408 0.2500 0.6698
H 0.5592 0.7500 0.3302
O 0.0118 0.2500 0.1846
O 0.0304 0.7500 0.3170
O 0.1145 0.7500 0.0954
O 0.1919 0.5219 0.6417
O 0.1919 0.9781 0.6417
O 0.2706 0.5098 0.9680
O 0.2706 0.9902 0.9680
O 0.2978 0.5173 0.3353
O 0.2978 0.9827 0.3353
O 0.4120 0.2500 0.5657
O 0.4314 0.7500 0.5918
O 0.4407 0.2500 0.8689
O 0.4552 0.7500 0.8550
O 0.5448 0.2500 0.1450
O 0.5593 0.7500 0.1311
O 0.5686 0.2500 0.4082
O 0.5880 0.7500 0.4343
O 0.7022 0.0173 0.6647
O 0.7022 0.4827 0.6647
O 0.7294 0.0098 0.0320
O 0.7294 0.4902 0.0320
O 0.8081 0.0219 0.3583
O 0.8081 0.4781 0.3583
O 0.8855 0.2500 0.9046
O 0.9696 0.2500 0.6830
O 0.9882 0.7500 0.8154

Main lines, in order of rising 2θ (2θ = 10–90°):
17.51 deg, rel. 25, (1 0 -2)
22.13 deg, rel. 21, (2 0 -2)
25.20 deg, rel. 31, (2 1 -1)
30.45 deg, rel. 100, (1 1 -3)
31.04 deg, rel. 43, (0 2 0)
32.98 deg, rel. 51, (0 1 3)
34.18 deg, rel. 48, (3 1 -1)
36.75 deg, rel. 24, (0 2 2)
37.01 deg, rel. 32, (3 1 -3)
42.17 deg, rel. 21, (2 2 -3)
55.75 deg, rel. 41, (1 0 -6)
64.70 deg, rel. 25, (0 4 0)


Repeat the second record exactly.
Structure and theoretical X-ray powder pattern of Ca2MnAl2Si3HO13 (a crystal structure in the Materials Project, relaxed with GGA+U; Cu Kα (λ = 1.5418 Å)).
Neutral-atom scattering factors, no anomalous dispersion.

Structural model:
Cell lengths 8.9456, 5.7630, 10.2476 Å; angles 90.00, 115.55, 90.00 degrees
Fractional coordinates of all 44 atoms:
Ca 0.0973 0.2500 0.4274
Ca 0.2538 0.2500 0.1532
Ca 0.7462 0.7500 0.8468
Ca 0.9027 0.7500 0.5726
Mn 0.2039 0.2500 0.7792
Mn 0.7961 0.7500 0.2208
Al 0.5000 0.0000 0.0000
Al 0.5000 0.0000 0.5000
Al 0.5000 0.5000 0.0000
Al 0.5000 0.5000 0.5000
Si 0.1610 0.7500 0.9548
Si 0.1846 0.7500 0.2739
Si 0.3134 0.7500 0.6803
Si 0.6866 0.2500 0.3197
Si 0.8154 0.2500 0.7261
Si 0.8390 0.2500 0.0452
H 0.4408 0.2500 0.6698
H 0.5592 0.7500 0.3302
O 0.0118 0.2500 0.1846
........

Outcome:
Li 0.0000 0.0000 0.0825
Li 0.5000 0.5000 0.9175
Mn 0.0000 0.5000 0.7657
Mn 0.5000 0.0000 0.2343
P 0.2147 0.6479 0.2691
P 0.2853 0.1479 0.7309
P 0.7147 0.8521 0.7309
P 0.7853 0.3521 0.2691
H 0.0082 0.2103 0.4524
H 0.4918 0.7103 0.5476
H 0.5082 0.2897 0.5476
H 0.9918 0.7897 0.4524
O 0.0509 0.7845 0.2727
O 0.0848 0.2261 0.7245
O 0.1916 0.5391 0.5071
O 0.1998 0.5473 0.0192
O 0.3002 0.0473 0.9808
O 0.3084 0.0391 0.4929
O 0.4152 0.7261 0.2755
O 0.4491 0.2845 0.7273
O 0.5509 0.7155 0.7273
O 0.5848 0.2739 0.2755
O 0.6916 0.9609 0.4929
O 0.6998 0.9527 0.9808
O 0.8002 0.4527 0.0192
O 0.8084 0.4609 0.5071
O 0.9152 0.7739 0.7245
O 0.9491 0.2155 0.2727

Main lines, in order of rising 2θ (2θ = 10–90°):
16.78 deg, rel. 94, (1 1 0)
23.82 deg, rel. 100, (1 1 1)
25.53 deg, rel. 60, (1 2 0)
30.72 deg, rel. 29, (1 2 1)
32.63 deg, rel. 66, (2 1 1)
33.95 deg, rel. 19, (0 0 2)
35.85 deg, rel. 21, (1 3 0)
37.62 deg, rel. 27, (0 3 1)
42.90 deg, rel. 13, (2 0 2)
50.23 deg, rel. 15, (1 4 1)
63.49 deg, rel. 18, (3 3 2)
63.97 deg, rel. 17, (2 4 2)


2.
Structure and theoretical X-ray powder pattern of Ca2MnAl2Si3HO13 (a crystal structure in the Materials Project, relaxed with GGA+U; Cu Kα (λ = 1.5418 Å)).
Neutral-atom scattering factors, no anomalous dispersion.

Structural model:
Cell lengths 8.9456, 5.7630, 10.2476 Å; angles 90.00, 115.55, 90.00 degrees
Fractional coordinates of all 44 atoms:
Ca 0.0973 0.2500 0.4274
Ca 0.2538 0.2500 0.1532
Ca 0.7462 0.7500 0.8468
Ca 0.9027 0.7500 0.5726
Mn 0.2039 0.2500 0.7792
Mn 0.7961 0.7500 0.2208
Al 0.5000 0.0000 0.0000
Al 0.5000 0.0000 0.5000
Al 0.5000 0.5000 0.0000
Al 0.5000 0.5000 0.5000
Si 0.1610 0.7500 0.9548
Si 0.1846 0.7500 0.2739
Si 0.3134 0.7500 0.6803
Si 0.6866 0.2500 0.3197
Si 0.8154 0.2500 0.7261
Si 0.8390 0.2500 0.0452
H 0.4408 0.2500 0.6698
H 0.5592 0.7500 0.3302
O 0.0118 0.2500 0.1846
O 0.0304 0.7500 0.3170
O 0.1145 0.7500 0.0954
O 0.1919 0.5219 0.6417
O 0.1919 0.9781 0.6417
O 0.2706 0.5098 0.9680
O 0.2706 0.9902 0.9680
O 0.2978 0.5173 0.3353
O 0.2978 0.9827 0.3353
O 0.4120 0.2500 0.5657
O 0.4314 0.7500 0.5918
O 0.4407 0.2500 0.8689
O 0.4552 0.7500 0.8550
O 0.5448 0.2500 0.1450
O 0.5593 0.7500 0.1311
O 0.5686 0.2500 0.4082
O 0.5880 0.7500 0.4343
O 0.7022 0.0173 0.6647
O 0.7022 0.4827 0.6647
O 0.7294 0.0098 0.0320
O 0.7294 0.4902 0.0320
O 0.8081 0.0219 0.3583
O 0.8081 0.4781 0.3583
O 0.8855 0.2500 0.9046
O 0.9696 0.2500 0.6830
O 0.9882 0.7500 0.8154

Main lines, in order of rising 2θ (2θ = 10–90°):
17.51 deg, rel. 25, (1 0 -2)
22.13 deg, rel. 21, (2 0 -2)
25.20 deg, rel. 31, (2 1 -1)
30.45 deg, rel. 100, (1 1 -3)
31.04 deg, rel. 43, (0 2 0)
32.98 deg, rel. 51, (0 1 3)
34.18 deg, rel. 48, (3 1 -1)
36.75 deg, rel. 24, (0 2 2)
37.01 deg, rel. 32, (3 1 -3)
42.17 deg, rel. 21, (2 2 -3)
55.75 deg, rel. 41, (1 0 -6)
64.70 deg, rel. 25, (0 4 0)


Repeat the second record exactly.
Structure and theoretical X-ray powder pattern of Ca2MnAl2Si3HO13 (a crystal structure in the Materials Project, relaxed with GGA+U; Cu Kα (λ = 1.5418 Å)).
Neutral-atom scattering factors, no anomalous dispersion.

Structural model:
Cell lengths 8.9456, 5.7630, 10.2476 Å; angles 90.00, 115.55, 90.00 degrees
Fractional coordinates of all 44 atoms:
Ca 0.0973 0.2500 0.4274
Ca 0.2538 0.2500 0.1532
Ca 0.7462 0.7500 0.8468
Ca 0.9027 0.7500 0.5726
Mn 0.2039 0.2500 0.7792
Mn 0.7961 0.7500 0.2208
Al 0.5000 0.0000 0.0000
Al 0.5000 0.0000 0.5000
Al 0.5000 0.5000 0.0000
Al 0.5000 0.5000 0.5000
Si 0.1610 0.7500 0.9548
Si 0.1846 0.7500 0.2739
Si 0.3134 0.7500 0.6803
Si 0.6866 0.2500 0.3197
Si 0.8154 0.2500 0.7261
Si 0.8390 0.2500 0.0452
H 0.4408 0.2500 0.6698
H 0.5592 0.7500 0.3302
O 0.0118 0.2500 0.1846